Get the latest copies of your credit reports

Submitted by Johndoe234 on Sat, 12/12/2009 - 11:33

efore you can start repairing your credit, you have to know what you need to repair. Your credit report will contain all the information you need to start repairing your credit. You’re entitled to free credit reports from each of the three credit bureaus each year. You can also order your credit reports directly from the credit bureaus for a fee.



Thank you very much,
Having these reports will show you what you need to repair or start working on. this is a good place to start.

=====
Material: Ac3Nd
Method: DFT, r2SCAN
State: optimized geometry

DFT formation energy = 0.02 eV per atom
Theoretical density = 7.8 g/cm³

abc: 7.9941 7.9941 6.3362
angles: 90.00 90.00 120.00
Positions (direct):
Ac 0.1690 0.8310 0.2500
Nd 0.3333 0.6667 0.7500
Ac 0.8309 0.6618 0.7500
Ac 0.3382 0.1691 0.7500
Ac 0.8309 0.1691 0.7500
Ac 0.1690 0.3381 0.2500
=====

Sat, 12/12/2009 - 14:25 Permalink

Alot of people new to the forum and the credit world are now just figuring out the free credit reports that are available. We always say around here to use all three pulls. I think they should do more to let people know they can naccess their report for free. Television always has that crazy commercial with the kid singing but it ended up being a little mis leading because it was not actually the free site. You had to pay and become a member.

Sun, 12/13/2009 - 01:33 Permalink
Fandi (not verified)

They have 7 yrs. They sold the account in most liloihokd and the new owners are trying to get anything they can. you must decide if you want it reported or if you have the money to pay them at least a portion to get rid of them? I would do this and I did do this. Write them a certified letter, typed and state that you have received no information on these bills and have nothing showing the debt. Since you aren't aware of it you have spoken to your lawyer and he told you to ask for the original itemized bill for the debt before you pay it. Now, most likely they don't have it and the hospital or Dr. has written it off yrs. ago and did not keep records. if they can't come up with proof then they may give it up. If they do it's a different story. They have the next yr. until the seven yrs. to report it and then it will have to be removed, by law. It's a tough call. If you have no plans to buy anything big in the next two yrs. ride it out . if you are buying a home it may cause you problems. you can always settle for a fourth of the debt if they start up again after the letter. Also put at the botton cc: and a lawyer's name to make it look good, and file and copy it. Mail it and do not call unless you have decided to pay less than the full amount to keep it off your record. I would ride it out unless I were really buying something and a lot of times car dealerships don't look too much at old medical bills, just depends.

Tue, 01/08/2013 - 07:41 Permalink
crdet (not verified)

Alot of CA'a don't legally valid a debt. I've dealt with one (now I forgot the name of it) in which I asked for validation almost 4 times within 3 years. The CA send the same validation letter, with the same date on it, to the CRA and they actually accepted it. I don't know how that legally happen, does it does.

Tue, 01/08/2013 - 12:54 Permalink